[Request]
Could you work out how many lines further down have the word "optimized" in them; a number is enough?
[Entries]
MnPtOF2: optimized geometry, PBE with a Hubbard U.

```
MnPtOF2
1.0
4.0250 0.0000 0.0000
0.0000 4.0250 0.0000
0.0000 0.0000 3.9940
Mn Pt O F
1 1 1 2
Direct
0.0000 0.0000 0.0000
0.5000 0.5000 0.5000
0.0000 0.0000 0.5000
0.0000 0.5000 0.0000
0.5000 0.0000 0.0000
```

The calculated volume comes out at 64.7 Å³/cell. Its electronic total energy is -26.21 eV for the cell shown.
[Completed]
1